**Contents**
+++
No. 1
Entry from the OMol25 dataset: a molecular structure, C32H37N5O2PtS3 at a distorted geometry (ωB97M-V/def2-TZVPD).

relative energy (zero: lowest compared OMol25 entry of this formula, charge and spin) = 0.0 kJ/mol
frontier orbital gap (alpha / beta) = 5.366 / 2.842 eV
2S+1 = 5
LUMO (alpha / beta) = -4.67 / -9.02 eV
strongest force on any atom = 3.62 eV/Å
net charge = +2

Structure (XYZ):
```
80
Properties=species:S:1:pos:R:3:mulliken_charge:R:1
Pt 2.87542 -2.25937 -0.44713 0.3421
N 3.47610 -2.53648 -4.87301 -0.4391
C 3.42744 -2.18139 -3.52848 0.7178
S 2.20013 -2.91147 -2.49093 -0.5034
N 4.27918 -1.31894 -2.97637 -1.1506
N 4.03138 -1.08186 -1.71182 0.5508
C 4.76076 -0.12450 -1.11732 -0.2650
C 4.50959 -0.01451 0.24988 0.6080
C 5.08895 0.99193 1.08128 -0.8035
C 4.74650 1.09551 2.41781 -0.2725
C 3.80901 0.14463 2.90524 -0.9831
C 3.26766 -0.80687 2.05948 -0.0479
N 3.56930 -0.83410 0.76193 -0.3257
H 2.69990 -3.03985 -5.37251 0.2292
H 4.10867 -1.95391 -5.44723 0.2647
H 5.56644 0.34589 -1.65485 0.4356
H 5.92966 1.56196 0.66989 0.3361
H 5.04841 1.97163 3.03874 0.3836
H 3.66821 0.02580 3.98598 0.3801
H 2.58894 -1.65005 2.26368 0.6028
O -3.53777 3.61076 2.24984 -0.3915
S -2.93386 4.40076 1.11374 0.7974
C -4.25382 5.52605 0.61046 -0.7964
C -5.00985 5.04165 -0.68961 -0.5971
C -5.94328 3.81463 -0.56808 -0.6824
C -6.12134 2.98529 -1.87028 -0.7338
S -4.52674 2.30252 -2.60157 0.4622
O -4.11057 3.27852 -3.76432 -0.6468
C -5.15625 0.81678 -3.34129 0.2297
C -4.94479 -0.35607 -2.57100 -0.2200
C -5.17701 -1.54485 -3.16655 -0.4939
C -5.66280 -1.60527 -4.49212 -0.3622
C -5.89362 -0.46200 -5.23042 -0.5430
C -5.78500 0.76898 -4.58642 -0.2827
C -1.74202 5.58873 1.67695 0.3052
C -1.34639 5.60788 3.00055 -0.6341
C -0.45824 6.63591 3.41286 -0.2820
C 0.18289 7.47222 2.52107 -0.6068
C -0.00977 7.12700 1.16006 -0.4309
C -0.92300 6.17989 0.76748 -0.1108
H -3.68410 6.46923 0.46395 0.5679
H -4.86819 5.63678 1.49610 0.4511
H -4.27177 4.69292 -1.49323 0.2903
H -5.49063 5.92941 -1.10604 0.4378
H -6.93254 4.31614 -0.31396 0.3291
H -5.71925 3.21535 0.31339 0.3855
H -6.47918 3.71615 -2.62797 0.3356
H -6.82368 2.13860 -1.67977 0.5181
H -4.66124 -0.36851 -1.52072 0.3126
H -4.81711 -2.41613 -2.58864 0.3097
H -5.75978 -2.51334 -5.04286 0.3783
H -6.11808 -0.45779 -6.28874 0.3852
H -5.87209 1.73747 -5.15763 0.3204
H -1.93306 5.10253 3.71638 0.4279
H -0.36704 6.73953 4.48933 0.3673
H 0.82447 8.23030 2.90448 0.4695
H 0.45381 7.73758 0.40275 0.3713
H -1.04133 5.93029 -0.32293 0.3622
C 5.54262 -6.42279 1.89199 -0.7396
N 4.64963 -5.57528 2.50512 0.3042
C 4.32209 -5.59362 3.92735 -0.6994
C 4.14754 -4.48120 1.73322 -0.9618
C 2.66349 -4.65880 1.45294 1.4047
C 1.96062 -5.84841 1.73936 -0.6095
C 0.65084 -6.07084 1.44065 -1.1554
C -0.01304 -5.10898 0.69237 -0.5455
C 0.68020 -4.00586 0.21771 -0.4750
C 2.01759 -3.76439 0.53881 -0.1600
H 6.23953 -5.86092 1.28886 0.3571
H 5.01163 -7.04556 1.11085 0.3342
H 5.98661 -7.08180 2.63603 0.3260
H 3.25858 -5.92257 3.92826 0.4046
H 4.39498 -4.60104 4.34586 0.3002
H 4.95351 -6.30310 4.55295 0.3247
H 4.70108 -4.32125 0.82070 0.5850
H 4.27266 -3.57908 2.34394 0.2503
H 2.48309 -6.65636 2.17355 0.4378
H 0.16361 -6.99126 1.70999 0.4152
H -1.02167 -5.21920 0.34631 0.4159
H 0.19722 -3.33762 -0.48633 0.4265
```

=====

No. 2
Entry from the OMol25 dataset: 2 unconnected molecules or ions with the total composition C2H3Cl2N2 at a distorted geometry (ωB97M-V/def2-TZVPD).

relative energy (zero: lowest compared OMol25 entry of this formula, charge and spin) = 582.8 kJ/mol
frontier orbital gap (alpha / beta) = 6.744 / 8.584 eV
2S+1 = 1
LUMO (alpha / beta) = -6.82 / -5.92 eV
strongest force on any atom = 6.33 eV/Å
net charge = +1

Structure (XYZ):
```
9
Properties=species:S:1:pos:R:3:mulliken_charge:R:1
C -0.28037 2.56987 -0.21917 -0.5458
C -0.27476 1.41349 -0.16679 0.3410
N -1.84251 4.45665 -0.74673 -0.0332
N -0.18195 0.04646 0.04166 -0.3060
Cl -3.25312 3.87021 -0.32435 0.1962
Cl -1.48620 4.62512 -2.33485 0.1781
H -0.05188 -0.38910 0.98794 0.3829
+++

**Exercise**
Now echo the whole of the data earlier on character by character.

**Response**
No. 1
Entry from the OMol25 dataset: a molecular structure, C32H37N5O2PtS3 at a distorted geometry (ωB97M-V/def2-TZVPD).

relative energy (zero: lowest compared OMol25 entry of this formula, charge and spin) = 0.0 kJ/mol
frontier orbital gap (alpha / beta) = 5.366 / 2.842 eV
2S+1 = 5
LUMO (alpha / beta) = -4.67 / -9.02 eV
strongest force on any atom = 3.62 eV/Å
net charge = +2

Structure (XYZ):
```
80
Properties=species:S:1:pos:R:3:mulliken_charge:R:1
Pt 2.87542 -2.25937 -0.44713 0.3421
N 3.47610 -2.53648 -4.87301 -0.4391
C 3.42744 -2.18139 -3.52848 0.7178
S 2.20013 -2.91147 -2.49093 -0.5034
N 4.27918 -1.31894 -2.97637 -1.1506
N 4.03138 -1.08186 -1.71182 0.5508
C 4.76076 -0.12450 -1.11732 -0.2650
C 4.50959 -0.01451 0.24988 0.6080
C 5.08895 0.99193 1.08128 -0.8035
C 4.74650 1.09551 2.41781 -0.2725
C 3.80901 0.14463 2.90524 -0.9831
C 3.26766 -0.80687 2.05948 -0.0479
N 3.56930 -0.83410 0.76193 -0.3257
H 2.69990 -3.03985 -5.37251 0.2292
H 4.10867 -1.95391 -5.44723 0.2647
H 5.56644 0.34589 -1.65485 0.4356
H 5.92966 1.56196 0.66989 0.3361
H 5.04841 1.97163 3.03874 0.3836
H 3.66821 0.02580 3.98598 0.3801
H 2.58894 -1.65005 2.26368 0.6028
O -3.53777 3.61076 2.24984 -0.3915
S -2.93386 4.40076 1.11374 0.7974
C -4.25382 5.52605 0.61046 -0.7964
C -5.00985 5.04165 -0.68961 -0.5971
C -5.94328 3.81463 -0.56808 -0.6824
C -6.12134 2.98529 -1.87028 -0.7338
S -4.52674 2.30252 -2.60157 0.4622
O -4.11057 3.27852 -3.76432 -0.6468
C -5.15625 0.81678 -3.34129 0.2297
C -4.94479 -0.35607 -2.57100 -0.2200
C -5.17701 -1.54485 -3.16655 -0.4939
C -5.66280 -1.60527 -4.49212 -0.3622
C -5.89362 -0.46200 -5.23042 -0.5430
C -5.78500 0.76898 -4.58642 -0.2827
C -1.74202 5.58873 1.67695 0.3052
C -1.34639 5.60788 3.00055 -0.6341
C -0.45824 6.63591 3.41286 -0.2820
C 0.18289 7.47222 2.52107 -0.6068
C -0.00977 7.12700 1.16006 -0.4309
C -0.92300 6.17989 0.76748 -0.1108
H -3.68410 6.46923 0.46395 0.5679
H -4.86819 5.63678 1.49610 0.4511
H -4.27177 4.69292 -1.49323 0.2903
H -5.49063 5.92941 -1.10604 0.4378
H -6.93254 4.31614 -0.31396 0.3291
H -5.71925 3.21535 0.31339 0.3855
H -6.47918 3.71615 -2.62797 0.3356
H -6.82368 2.13860 -1.67977 0.5181
H -4.66124 -0.36851 -1.52072 0.3126
H -4.81711 -2.41613 -2.58864 0.3097
H -5.75978 -2.51334 -5.04286 0.3783
H -6.11808 -0.45779 -6.28874 0.3852
H -5.87209 1.73747 -5.15763 0.3204
H -1.93306 5.10253 3.71638 0.4279
H -0.36704 6.73953 4.48933 0.3673
H 0.82447 8.23030 2.90448 0.4695
H 0.45381 7.73758 0.40275 0.3713
H -1.04133 5.93029 -0.32293 0.3622
C 5.54262 -6.42279 1.89199 -0.7396
N 4.64963 -5.57528 2.50512 0.3042
C 4.32209 -5.59362 3.92735 -0.6994
C 4.14754 -4.48120 1.73322 -0.9618
C 2.66349 -4.65880 1.45294 1.4047
C 1.96062 -5.84841 1.73936 -0.6095
C 0.65084 -6.07084 1.44065 -1.1554
C -0.01304 -5.10898 0.69237 -0.5455
C 0.68020 -4.00586 0.21771 -0.4750
C 2.01759 -3.76439 0.53881 -0.1600
H 6.23953 -5.86092 1.28886 0.3571
H 5.01163 -7.04556 1.11085 0.3342
H 5.98661 -7.08180 2.63603 0.3260
H 3.25858 -5.92257 3.92826 0.4046
H 4.39498 -4.60104 4.34586 0.3002
H 4.95351 -6.30310 4.55295 0.3247
H 4.70108 -4.32125 0.82070 0.5850
H 4.27266 -3.57908 2.34394 0.2503
H 2.48309 -6.65636 2.17355 0.4378
H 0.16361 -6.99126 1.70999 0.4152
H -1.02167 -5.21920 0.34631 0.4159
H 0.19722 -3.33762 -0.48633 0.4265
```

=====

No. 2
Entry from the OMol25 dataset: 2 unconnected molecules or ions with the total composition C2H3Cl2N2 at a distorted geometry (ωB97M-V/def2-TZVPD).

relative energy (zero: lowest compared OMol25 entry of this formula, charge and spin) = 582.8 kJ/mol
frontier orbital gap (alpha / beta) = 6.744 / 8.584 eV
2S+1 = 1
LUMO (alpha / beta) = -6.82 / -5.92 eV
strongest force on any atom = 6.33 eV/Å
net charge = +1

Structure (XYZ):
```
9
Properties=species:S:1:pos:R:3:mulliken_charge:R:1
C -0.28037 2.56987 -0.21917 -0.5458
C -0.27476 1.41349 -0.16679 0.3410
N -1.84251 4.45665 -0.74673 -0.0332
N -0.18195 0.04646 0.04166 -0.3060
Cl -3.25312 3.87021 -0.32435 0.1962
Cl -1.48620 4.62512 -2.33485 0.1781
H -0.05188 -0.38910 0.98794 0.3829